File.
~~~
# 1
Rb2WSe4: optimized geometry, PBE.

```
Rb2WSe4
1.0
-5.798 4.662 0.597
-5.605 -7.516 4.267
4.179 3.667 11.949
Se Rb W
16 8 4
Cartesian
-5.140 2.229 2.652 Se
-3.932 -2.382 3.746 Se
-0.127 4.345 11.241 Se
-3.292 3.195 13.066 Se
-3.865 -0.235 10.698 Se
-2.084 -1.416 14.160 Se
-7.097 -3.532 5.572 Se
-0.998 -2.540 10.403 Se
-3.358 1.048 6.115 Se
-9.964 -1.226 5.867 Se
-6.226 3.353 6.410 Se
0.017 2.382 4.891 Se
-6.738 -0.472 8.230 Se
-0.486 1.285 8.582 Se
2.740 2.039 10.945 Se
-7.241 -1.569 11.922 Se
-1.850 0.406 2.193 Rb
-3.701 3.174 9.258 Rb
-3.182 4.399 4.735 Rb
-5.374 0.407 14.620 Rb
-6.753 -0.035 4.668 Rb
-4.042 -3.586 12.078 Rb
-0.470 0.848 12.144 Rb
-3.523 -2.361 7.554 Rb
-1.867 5.022 12.633 W
-1.048 0.871 6.353 W
-6.176 -0.058 10.460 W
-5.357 -4.209 4.179 W
```

Calculated values
V: 253 Å³/f.u.
ΔH_f (0 K): -1.1084 eV per atom



# 2
AlHO2: optimized geometry, PBE.

```
AlHO2
1.0
-2.963 0.000 0.000
-0.024 -3.738 0.000
1.373 1.143 6.565
Al O H
2 4 2
Cartesian
-1.422 -0.391 2.144 Al
-0.034 -2.246 4.182 Al
0.053 -0.371 1.247 O
-1.553 -2.271 5.370 O
-0.286 -0.384 4.084 O
-1.567 -2.243 2.888 O
-1.562 -2.494 6.382 H
-0.961 -0.324 4.815 H
```

Calculated values
Largest piezoelectric modulus: 2.2 C/m2
V: 36 Å³/f.u.
ΔH_f (0 K): -2.4785 eV per atom
Magnetic moment: 0.00 μB/f.u.
~~~
Wanted.
Please quote everything further above with every line break kept.
Here it is.
# 1
Rb2WSe4: optimized geometry, PBE.

```
Rb2WSe4
1.0
-5.798 4.662 0.597
-5.605 -7.516 4.267
4.179 3.667 11.949
Se Rb W
16 8 4
Cartesian
-5.140 2.229 2.652 Se
-3.932 -2.382 3.746 Se
-0.127 4.345 11.241 Se
-3.292 3.195 13.066 Se
-3.865 -0.235 10.698 Se
-2.084 -1.416 14.160 Se
-7.097 -3.532 5.572 Se
-0.998 -2.540 10.403 Se
-3.358 1.048 6.115 Se
-9.964 -1.226 5.867 Se
-6.226 3.353 6.410 Se
0.017 2.382 4.891 Se
-6.738 -0.472 8.230 Se
-0.486 1.285 8.582 Se
2.740 2.039 10.945 Se
-7.241 -1.569 11.922 Se
-1.850 0.406 2.193 Rb
-3.701 3.174 9.258 Rb
-3.182 4.399 4.735 Rb
-5.374 0.407 14.620 Rb
-6.753 -0.035 4.668 Rb
-4.042 -3.586 12.078 Rb
-0.470 0.848 12.144 Rb
-3.523 -2.361 7.554 Rb
-1.867 5.022 12.633 W
-1.048 0.871 6.353 W
-6.176 -0.058 10.460 W
-5.357 -4.209 4.179 W
```

Calculated values
V: 253 Å³/f.u.
ΔH_f (0 K): -1.1084 eV per atom



# 2
AlHO2: optimized geometry, PBE.

```
AlHO2
1.0
-2.963 0.000 0.000
-0.024 -3.738 0.000
1.373 1.143 6.565
Al O H
2 4 2
Cartesian
-1.422 -0.391 2.144 Al
-0.034 -2.246 4.182 Al
0.053 -0.371 1.247 O
-1.553 -2.271 5.370 O
-0.286 -0.384 4.084 O
-1.567 -2.243 2.888 O
-1.562 -2.494 6.382 H
-0.961 -0.324 4.815 H
```

Calculated values
Largest piezoelectric modulus: 2.2 C/m2
V: 36 Å³/f.u.
ΔH_f (0 K): -2.4785 eV per atom
Magnetic moment: 0.00 μB/f.u.